Of 290 students randomly polled in a recent Tam News survey, 84.6 percent of those who identified with a political party defined themselves as Democrats, while 7.4 percent classified themselves as Republicans.
This political imbalance, while skewed in comparison to the rest of the nation, should come as no surprise to anyone familiar with the Tam community. Located in Marin County, rated by the Cook Partisan Voting Index as the third most liberal county in the San Francisco Bay Area (which itself is widely considered one of the most left-leaning metropolitan areas in the nation) Tam has often received praise for its embracement of diversity and self-expression. But is such a one-sided community, even a progressive one, stifling other opinions on campus? Why is the Tam student body identifying so overwhelmingly as liberal, and what effect is this homogenous environment having on the school’s political community as a whole?
Students interviewed seemed to be aware of Tam’s slanted political spectrum, and many commented on the Democratic majority on campus and the resulting Republican minority. “At Tam, I only know one person who claims to be Republican,” sophomore Paloma Tenorio said.
In the 2008 election, Marin voted 78 percent in favor of Democrat Barack Obama. Although 54.8 percent of students associated with the Democratic Party, 73.4 percent of those surveyed said that they supported Obama in the 2012 race.
“Maybe the only time [students] really engage in the political process is during presidential elections, so it’s really not the party they’re voting for, but the candidate they’re voting for,” Professor Robert Elias said. Elias, a political scientist at the University of San Francisco and father of Tam News reporter Maddie Elias, commented on the roots of teenagers’ political views.
“Political scientists call it ‘political socialization;’ [political ideas are formed by] the kinds of things that we’re exposed to, particularly when we’re young, prior to maturity, when we are quite vulnerable to impressions, because we don’t have the skills or the development to form [our own opinions] at all,” he said. “So the things that we’re exposed to, in a sense, make up our minds. What are [these factors]? Family [is] very important.”
Tam government teacher Luc Chamberlin agreed that family, parents in particular, were a primary source of many students’ political convictions.
“Basically, kids get most of their political views from their parents,” he said. “They may not think that, but that’s pretty much the way that turns out. Around here, most people are liberal, so most kids are liberal.”
Chamberlin’s assertion was supported by numerous student responses. “I was raised by my mom, who was liberally biased, therefore I somewhat inherited that,” senior James Josephson said.
“It sounds bad, but I don’t really know the details of the Democratic Party, I just know in my family, the Democratic Party is known to be the good party, I guess,” freshman Sammy Lebuhn said.
Of students surveyed, 76.6 percent said that one or more of their parents associated themselves with the Democratic Party. Of those students, 53.6 percent said that they rarely, if ever, disagreed with their parents politically.
Dr. Matt Spalding, a Mill Valley psychologist specializing in adolescent and family issues, thought that overall political tendencies, not just stances on issues, may also be rooted in family. “If we grew up in a household that was very authoritative in terms of power, more hierarchal, with more of that stance that power stays up top with the parents… this kind of upbringing, I’ve heard, tends towards an emotional preference for Republican or for conservative values,” he said. “I’ve also heard that more liberally allocated power in households, where [the family has] a democratic process from the start… we tend to have to have an emotional wiring towards more liberal [values].”
Spalding said that most families he had worked with were looser in structure. “I don’t know if that’s Marin in particular. Maybe it’s just generational these days, but here, for sure [parents tend] more towards the liberal parenting style.”
While parents may influence many students’ political predispositions, there are other ways for students to form their own opinions. Senior Jake Davis, who defined himself as a fiscal conservative, said that investigation was the basis of his political views. “Nobody really supports what I say, so I have to do a lot of research to back up my statements,” he said.
Junior Max Gamboa believed that Davis’ method of forming political opinions – namely, self-directed research – was not uncommon among Tam students and that for the most part, the student body was politically educated. “I’m sure [that] a good percentage of [students] look at different news sources and things from their parents or from their teachers,” he said.
Chamberlin held a different view. “Most high school students are not terribly well informed politically, they don’t keep up on the news regularly, they’re not interested in what’s going on in our government, so overall [their] level [of political knowledge] is relatively low,” he said. “They’re young; they have other things to do.”
But even if students have other things to do, politics are part of Tam’s curriculum. All Tam seniors are enrolled in a government class during their fall semester, and government teacher Matt Tierney believes that this obligatory class has the potential to increase his students’ political awareness. “Do I expect my students to be able to become informed voters after they take government class?” he said. “I think that’s asking a lot. Can a government class help build [political consciousness]? Sure.”
Despite the encouragement of Tam’s social studies teachers, students did not, for the most part, cite news sources as the main basis for their political views; of those surveyed, 28.7 percent did not cite any source of online, print, or television news that they consumed. Of those who did list sources, many were opinion-based. 25 percent of students who listed online news outlets only cited subjective sources such as Yahoo News or Reddit.com. Nevertheless, 64.8 percent of students aligned with a political party, and over 80 percent said that they supported a presidential candidate.
Some students observed this contrast between political awareness and partisan activism. “Sometimes I will see people that support the Democratic Party fully and yet would disagree with certain [stances] that it has,” said Josephson. “Certainly sometimes people don’t realize that their opinions contrast with those of the party they support.”
But even if students have unwittingly allied with some stances of the party they’ve chosen, most interviewed were familiar with both parties’ positions on large social issues. “Really, the only thing I know about the election basically is that Romney wants to take away birth control and abortions,” senior Laura Hull said.
“I’m for gay rights, and the Republican Party is not. [I also support the Democrats’ stance on] abortion,” Tenorio said.
With such a unified front in favor of the more liberal positions on these social issues, students may not see a need to do their own research and make up their own minds rather than follow the crowd. “[Students will] take people at their word,” Davis said. “[This atmosphere] gives them a soundness of mind that they are correct because look, everyone around them supports [what they do], so that must be the right decision.”
“It’s hard to step back and think, ‘well, do I think abortion should be allowed?’ because in the back of your head you’re going, ‘well my parents think that [it should be] and my friends think that, and if I disagree, they’re not going to like me as much,’” senior Jake Zwiebach said.
Spalding believed that a desire to conform, rather than a fear of consequence, was the primary influence behind students agreeing with their peers. “I don’t know if there’s a feeling there’s going to be punishment [for dissent], I don’t think it’s that overt, but I think there’s a sense of wanting to be in the pack a bit, and if not, there might be societal repercussions.”
“There can be that peer pressure idea of conforming, and we have it here,” said Chamberlin.
In such a one-sided political community, one would wonder whether or not students are open to other political opinions and theories.
Tenorio held that Tam was an accepting community of different political beliefs. “Right here at Tam you can believe whatever you want… no one really discusses [politics]; it depends on where you are and who you’re interacting with, but I think that for the most part if you firmly believe something you [can] continue believing it freely,” she said.
Of surveyed students, only 12 percent felt that they were not very, or not all comfortable sharing their political beliefs and opinions. However, among students that identified as Republicans, that statistic jumped to 35.7 percent.
Davis, himself a Republican, reflected this trend in discussion of the treatment of his dissenting viewpoints. “I’ve made this joke with some people,” said Davis. “So, [Tam has an annual] ‘Day of Silence’ for kids who are gay that can’t speak out… I think we should have Day of Silence for Republicans. I think Republicans get more hassle at this school than gay people; I’ve never heard anyone talk badly about gay people, but Republicans? Holy s—.”
In Chamberlain’s class, students did an activity in which they were asked to line up in a political spectrum. Most students stood far to the left, and very few stood to the right. “I had maybe two students who were willing to identify themselves as conservatives on one issue or another, and they felt isolated,” Chamberlain said.
Students noticed the divide as well. “There was one person who was completely against everyone else [in the class], and she seemed a little ostracized for a while,” said senior Tassia Huq, a participant in the activity.
Chamberlin felt this alienation was more a product of the high school setting than anything else. “Because everyone was over [on the liberal side] and because school is not just an academic environment but also a social one, it’s hard for anyone to stand out,” he said.
Tierney agreed. “I would say that if you are the minority in a group, it is hard to vocalize your opinion, and it would be that way in any grouping of any question in society,” he said. “It’s human nature to not want to bring up… If you were to say something about how abortion is wrong in a classroom that would take some guts, because you’re going to get a lot of students who are going to disagree with that point of view. It’s a totally valid point of view, but you’re going to feel pressure.”
“I feel like if I were to say anything supporting Mitt Romney, it’d be twenty-nine-versus-one, and I don’t want to do that,” Davis said.
“I think one of the basic human fears… is alienation, the sense of being ‘other,’” said Spalding. “On a societal level, I think [standing out] is terrifying, especially in our adolescent years when there’s a tremendous – and very healthy, I think – desire to want to bond, to ‘be part of,’ and it’s also and individuation time. It’s a tricky balance in our teen years, of wanting to stand apart and be celebrated for our uniqueness, but in such a way that we’re still part of the pack.”
The same atmosphere that has discouraged some minority views from being voiced may have an impact on the frequency, honesty, and productivity of political dialogue among students at Tam.
“If a Republican comes into our area and says they don’t think gay people should be married, I don’t think that we’re very accepting of them,” said Zwiebach. “We harass them, we say, ‘you’re stupid, you’re barbaric, your opinions are wrong;’ they don’t even [have] a chance to try to voice their opinion, or sway your opinion.”
“I don’t think there are that many conversations about people explaining or debating different political beliefs [at Tam],” said Gamboa. “Outside of the classroom, I think the students are open to sharing their political opinions but the vast majority support Barack Obama, so if [somebody’s] friends like Barack Obama, [then that person will be] like, ‘oh, I like Barack Obama too.’”
“I recently talked with someone who moved here who was pro-life, [and] had an interesting conversation with them,” said Josephson. “I disagreed on a very fundamental level with the ideas they expressed, [but it was] just interesting to be able to have that conversation with someone, which I find somewhat of a rarity.”
Attached: records of crystals =
=====
{
  "formula": "Re3Tc7",
  "functional": "PBE",
  "state": "relaxed",
  "cell": [[4.074, 0.000, -1.097], [-0.122, 5.465, -0.454], [-0.373, 0.553, 6.736]],
  "species": ["Re", "Re", "Re", "Tc", "Tc", "Tc", "Tc", "Tc", "Tc", "Tc"],
  "fractional_positions": [[0.000, 0.000, 0.000], [0.198, 0.500, 0.396], [0.802, 0.500, 0.604], [0.000, 0.500, 0.000], [0.200, 0.000, 0.401], [0.800, 0.000, 0.599], [0.393, 0.751, 0.786], [0.607, 0.249, 0.214], [0.393, 0.249, 0.786], [0.607, 0.751, 0.214]],
  "formation_enthalpy_0k_ev_per_atom": 0.12,
  "sg": "Cmmm"
}

=====

{
  "formula": "KRbIn4Au8",
  "functional": "SCAN",
  "state": "single point on PBEsol structure",
  "lattice": [[-4.343, 4.343, 4.172], [4.343, -4.343, 4.172], [4.343, 4.343, -4.172]],
  "species": ["K", "Rb", "In", "In", "In", "In", "Au", "Au", "Au", "Au", "Au", "Au", "Au", "Au"],
  "fractional_positions": [[0.000, 0.000, 0.000], [0.500, 0.500, 0.000], [0.104, 0.896, 0.500], [0.396, 0.604, 0.500], [0.604, 0.104, 0.209], [0.896, 0.396, 0.791], [0.062, 0.262, 0.494], [0.232, 0.738, 0.800], [0.262, 0.768, 0.200], [0.432, 0.232, 0.494], [0.568, 0.062, 0.800], [0.738, 0.938, 0.506], [0.768, 0.568, 0.506], [0.938, 0.432, 0.200]],
  "total_magnetization_mub_per_cell": 0.00,
  "delta_e_f_ev_per_atom": -0.35
}

=====

{
  "formula": "TePbAu",
  "functional": "SCAN",
  "state": "single point on PBEsol structure",
  "lattice": [[4.286, 0.000, 0.000], [-2.143, 3.711, 0.000], [0.000, 0.000, 5.022]],
  "species": ["Te", "Pb", "Au"],
  "fractional_positions": [[0.000, 0.000, 0.000], [0.667, 0.333, 0.445], [0.333, 0.667, 0.747]],
  "e_form_raw_ev_per_atom": -0.2151,
  "total_magnetization_mub_per_cell": 0.00
}

=====

{
  "formula": "NiIr2Pb",
  "functional": "SCAN",
  "state": "single point on PBEsol structure",
  "lattice": [[4.292, -1.453, 0.000], [4.292, 1.453, 0.000], [-0.930, 0.000, 5.104]],
  "species": ["Ni", "Ir", "Ir", "Pb"],
  "fractional_positions": [[0.000, 0.000, 0.000], [0.258, 0.258, 0.791], [0.513, 0.513, 0.593], [0.753, 0.753, 0.272]],
  "total_magnetization_mub_per_cell": 1.04,
  "delta_e_f_ev_per_atom": 0.46
}

=====

{
  "formula": "ScPtO2F",
  "functional": "SCAN",
  "state": "single point on PBEsol structure",
  "lattice": [[4.083, 0.000, 0.000], [0.000, 4.083, 0.000], [0.000, 0.000, 3.821]],
  "species": ["Sc", "Pt", "O", "O", "F"],
  "fractional_positions": [[0.000, 0.000, 0.000], [0.500, 0.500, 0.500], [0.000, 0.500, 0.000], [0.500, 0.000, 0.000], [0.000, 0.000, 0.500]],
  "e_form_raw_ev_per_atom": -1.5615,
  "total_magnetization_mub_per_cell": 2.01
}

=====

{
  "formula": "BeCdFe",
  "functional": "SCAN",
  "state": "single point on PBEsol structure",
  "lattice": [[0.000, 2.894, 2.894], [2.894, 0.000, 2.894], [2.894, 2.894, 0.000]],
  "species": ["Be", "Cd", "Fe"],
  "fractional_positions": [[0.000, 0.000, 0.000], [0.250, 0.250, 0.250], [0.500, 0.500, 0.500]],
  "total_magnetization_mub_per_cell": 3.15,
  "de_polymorph_mev_per_atom": 516,
  "delta_e_f_ev_per_atom": 0.86
}

=====

{
=====
“I don’t think that it’s that [politics] are not discussed, it’s just that everybody agrees already that the other side is wrong,” said Tierney. “That is very strong here.”
Elias commented on the impact of a majority viewpoint on political discourse. “[If there is a political consensus in a community] you limit whether you even have a discussion, because there doesn’t seem to be another point of view,” he said. “Certain communities… may have little or no discussions of the other point of view… Mill Valley may be an example of that. […] Do you [need to have] a range of views that are actually being discussed? I think that’s healthy for society.”
I feel like if I were to say anything supporting Mitt Romney, it’d be twenty-nine-versus-one, and I don’t want to do that.
Spalding also thought such discussion was valuable. “The more articulation publicly [in a debate], the more the conversation gets [better], the more detail comes to light. It’s just a shame if the majority opinion tends to dampen public discourse.”
“If you don’t get off into another experience and you just stay in your little ‘cocoon,’ you’re probably not going to be exposed to other perspectives that challenge the way in which you’ve been socialized,” Elias said. “If I’ve got a group of people [when teaching], and I know where they’re coming from, I just hammer them with other perspectives. It tests your views, it makes you figure out why you hold those views, rather than it just being automatic because it’s seeped into you somewhere along the line when you were growing up.”
The bottom line is whether political activism, even lacking critical thought and research, is better than no political activism at all.
“I would say it’s always good to be involved,” said Chamberlin. “Just don’t be the eight-year-old kid holding the sign out with your parents on the side of the road on voting day, because you don’t know what you’re talking about.”